"Rich guys drivin' big SUV's while kids are starving in the streets-It doesn't make sense to me" - Comments

  • I agree with this a lot Alex. All of this makes sense.
    I love animals and all but honestly I'm going to have to choose to save a person first and then I'll go back for the animal.
    But as for the misunderstood teen thing... I can understand that because I am one. Here's how my therapist told it to me, "On the outside, Rae, you look like an average girl who doesn't have anything wrong with her. But honey, on the inside things are so much tougher for you than most, you're a misunderstood child." I was like thank you sooo.... much.
    I agree with Zed and Reverse Osmosis 100%. I know I need to do so much more but I'm unsure as to what
    September 20th, 2009 at 06:22pm
  • XD
    Yeah, look at it on google. They're a fantastic charity. =]
    April 2nd, 2008 at 08:33pm
  • -refreshes page repeatedly for that ad..-
    I keep gettin' the asian singles one..
    google is my friend.
    although the lyrics of that song seem a little contrived to me :)
    April 2nd, 2008 at 08:14pm
  • I agree with Reverse Osmosis.
    It's all about greed. And most charities are corrupt-even things like Oxfam spend most of their money on first class plane tickets and stuff like that.
    But Plan is really good-you stick with them, and they show you how your money is spent, and you feel like you're making a difference.
    But, I guess it's everyone's personal opinion
    April 2nd, 2008 at 07:17pm
  • the joys of capitalism.

== Here the entry breaks off for calculated crystals ==
The following is a simulated powder XRD pattern of LaCe4P6. It was derived from a PBE-relaxed structure, using Cu Kα (λ = 1.5418 Å).
Peak positions follow from Bragg's law for the DFT cell and can differ from measured ones.

Unit cell a=8.0493 b=8.0493 c=8.0493 alpha=88.69 beta=88.69 gamma=88.69
Element x y z (fractional)
La  0.0000  0.0000  0.0000
La  0.5000  0.5000  0.5000
Ce  0.1336  0.7500  0.3664
Ce  0.2500  0.2500  0.2500
Ce  0.2500  0.6336  0.8664
Ce  0.3664  0.1336  0.7500
Ce  0.6336  0.8664  0.2500
Ce  0.7500  0.3664  0.1336
Ce  0.7500  0.7500  0.7500
Ce  0.8664  0.2500  0.6336
P  0.0686  0.9131  0.6680
P  0.0869  0.3320  0.9314
P  0.1680  0.4131  0.5686
P  0.3320  0.9314  0.0869
P  0.4131  0.5686  0.1680
P  0.4314  0.8320  0.5869
P  0.5686  0.1680  0.4131
P  0.5869  0.4314  0.8320
P  0.6680  0.0686  0.9131
P  0.8320  0.5869  0.4314
P  0.9131  0.6680  0.0686
P  0.9314  0.0869  0.3320

Most intense lines, 2θ = 10–90°, sorted by position:
24.5°, rel. 63
27.5°, rel. 100
31.1°, rel. 58
33.8°, rel. 41
35.0°, rel. 46
37.1°, rel. 37
48.0°, rel. 39
73.0°, rel. 22

***

The following is a simulated powder XRD pattern of LaCe2PaP4. It was derived from a PBE-relaxed structure, using Cu Kα (λ = 1.5418 Å).
Peak positions follow from Bragg's law for the DFT cell and can differ from measured ones.

Unit cell a=7.1041 b=7.1041 c=7.1041 alpha=131.84 beta=131.84 gamma=70.49
Element x y z (fractional)
La  0.0000  0.0000  0.0000
Ce  0.5000  0.5000  0.0000
Ce  0.7500  0.2500  0.5000
Pa  0.2500  0.7500  0.5000
P  0.0078  0.5078  0.5000
P  0.2545  0.2545  0.0000
P  0.4922  0.9922  0.5000
P  0.7455  0.7455  0.0000

Most intense lines, 2θ = 10–90°, sorted by position:
26.6°, rel. 87
30.8°, rel. 100
44.2°, rel. 74
52.3°, rel. 43
54.8°, rel. 26
70.8°, rel. 18
73.0°, rel. 33
81.3°, rel. 25

***

The following is a simulated powder XRD pattern of La2CePrP4. It was derived from a PBE-relaxed structure, using Cu Kα (λ = 1.5418 Å).
Peak positions follow from Bragg's law for the DFT cell and can differ from measured ones.

Unit cell a=7.2860 b=4.2091 c=7.2975 alpha=90.00 beta=109.38 gamma=90.00
Element x y z (fractional)
La  0.0000  0.0000  0.0000
La  0.5000  0.5000  0.0000
Ce  0.0000  0.5000  0.5000
Pr  0.5000  0.0000  0.5000
P  0.2422  0.0000  0.7405
P  0.2465  0.5000  0.2564
P  0.7535  0.5000  0.7436
P  0.7578  0.0000  0.2595

Most intense lines, 2θ = 10–90°, sorted by position:
25.9°, rel. 76
30.0°, rel. 100
43.0°, rel. 73
50.9°, rel. 35
53.3°, rel. 26
62.4°, rel. 12
70.7°, rel. 27
78.8°, rel. 18

***

The following is a simulated powder XRD pattern of La2CeP3Rh12. It was derived from a PBE-relaxed structure, using Cu Kα (λ = 1.5418 Å).
Peak positions follow from Bragg's law for the DFT cell and can differ from measured ones.

Unit cell a=6.8030 b=6.8030 c=6.8030 alpha=81.68 beta=81.68 gamma=81.68
Element x y z (fractional)
La  0.1171  0.1171  0.1171
La  0.8829  0.8829  0.8829
Ce  0.5000  0.5000  0.5000
P  0.0000  0.5000  0.5000
P  0.5000  0.0000  0.5000

    Look, kid, I just don't trust those "charities." If you do your research, you might learn that charities don't give all the money to the people. They're scams. (Go figure.)

    We live in a greedy world...

    I don't think that we should be just giving them money out of our pockets. If the world cared enough, we'd be helping them establish a suitable government & economy... and giving them food and helping them with shelter and stuff.

    But like I said, we live in a capitalistic world. =/
    April 2nd, 2008 at 07:07pm
  • If anyone feels like doing something to help, the 'Plan' advert might flash up a few times near the top of the screen. Seriously, click on it.
    It's fantastic-I sponsor a child in Zimbabwe. I write letters to her, and receive them. It's lovely to know you are helping someone. And it's not just them-but their whole community.
    It's better to directly sponsor a child most of the times-although charities do do fantastic work, a lot of their funds do end up being spent on things that are along the track to the impoverished.
    But only click on the link if you really want to.
    April 2nd, 2008 at 06:44pm
  • I feel like this all the time.
    I look around, and am like...YOU could do something about the people starving.
    But then I look at myself-sure, I sponsor a child, and my parents do donate quite a large amount to charity...
    But I know I don't do enough. I know that there is so much more I could do.
    It's the same when I hate everything, or something, or I feel miserable. I then realise that there are people who are so, so, so, so (x 1 trillion) much worse off than me.
    It makes me feel physically sick.
    April 2nd, 2008 at 06:41pm